== Assignment ==
Reproduce everything further below character by character.

== Given ==
........
# H6AuO2F2 | Alexandria via LeMat-Bulk | GGA-PBE | optimized geometry
data_H6AuO2F2
_chemical_formula_sum 'H6 Au1 O2 F2'
_space_group_name_H-M_alt 'P -1'
_space_group_IT_number 2
_cell_length_a 3.808
_cell_length_b 5.490
_cell_length_c 6.417
_cell_angle_alpha 71.14
_cell_angle_beta 72.84
_cell_angle_gamma 89.99
loop_
_space_group_symop_operation_xyz
'x,y,z'
'-x,-y,-z'
loop_
_atom_site_label
_atom_site_type_symbol
_atom_site_fract_x
_atom_site_fract_y
_atom_site_fract_z
H1 H 0.020 0.302 0.398
H2 H 0.159 0.426 0.683
H3 H 0.417 0.698 0.602
Au1 Au 0.500 0.000 0.000
O1 O 0.150 0.602 0.700
F1 F 0.227 0.211 0.547
# **Electronic total energy**: -47.28 eV per formula unit
# **Total moment**: 0.0 μB/cell

=====

First-principles (GGA-PBE) data for an optimized crystal structure of YRuBr2, as listed in Alexandria via LeMat-Bulk.

Geometry as CIF:
```
data_YRuBr2
_cell_length_a 3.523
_cell_length_b 4.463
_cell_length_c 5.494
_cell_angle_alpha 90.00
_cell_angle_beta 90.00
_cell_angle_gamma 90.00
_space_group_name_H-M_alt 'P m m m'
_space_group_IT_number 47
loop_
_space_group_symop_operation_xyz
'x,y,z'
'-x,-y,-z'
'-x,-y,z'
'x,y,-z'
'x,-y,-z'
'-x,y,z'
'-x,y,-z'
'x,-y,z'
loop_
_atom_site_label
_atom_site_fract_x
_atom_site_fract_y
_atom_site_fract_z
Y1 0.000 0.000 0.000
Ru1 0.500 0.000 0.500
Br1 0.000 0.500 0.500
Br2 0.500 0.500 0.000
```

Values from the calculation:
ΔE_f (raw) = -13.2 kJ/mol of atoms
E above lowest polymorph = 480.8 meV/atom
M_tot = 0.2 μB/cell
Crystal system = orthorhombic
........

== Worked solution ==
# H6AuO2F2 | Alexandria via LeMat-Bulk | GGA-PBE | optimized geometry
data_H6AuO2F2
_chemical_formula_sum 'H6 Au1 O2 F2'
_space_group_name_H-M_alt 'P -1'
_space_group_IT_number 2
_cell_length_a 3.808
_cell_length_b 5.490
_cell_length_c 6.417
_cell_angle_alpha 71.14
_cell_angle_beta 72.84
_cell_angle_gamma 89.99
loop_
_space_group_symop_operation_xyz
'x,y,z'
'-x,-y,-z'
loop_
_atom_site_label
_atom_site_type_symbol
_atom_site_fract_x
_atom_site_fract_y
_atom_site_fract_z
H1 H 0.020 0.302 0.398
H2 H 0.159 0.426 0.683
H3 H 0.417 0.698 0.602
Au1 Au 0.500 0.000 0.000
O1 O 0.150 0.602 0.700
F1 F 0.227 0.211 0.547
# **Electronic total energy**: -47.28 eV per formula unit
# **Total moment**: 0.0 μB/cell

=====

First-principles (GGA-PBE) data for an optimized crystal structure of YRuBr2, as listed in Alexandria via LeMat-Bulk.

Geometry as CIF:
```
data_YRuBr2
_cell_length_a 3.523
_cell_length_b 4.463
_cell_length_c 5.494
_cell_angle_alpha 90.00
_cell_angle_beta 90.00
_cell_angle_gamma 90.00
_space_group_name_H-M_alt 'P m m m'
_space_group_IT_number 47
loop_
_space_group_symop_operation_xyz
'x,y,z'
'-x,-y,-z'
'-x,-y,z'
'x,y,-z'
'x,-y,-z'
'-x,y,z'
'-x,y,-z'
'x,-y,z'
loop_
_atom_site_label
_atom_site_fract_x
_atom_site_fract_y
_atom_site_fract_z
Y1 0.000 0.000 0.000
Ru1 0.500 0.000 0.500
Br1 0.000 0.500 0.500
Br2 0.500 0.500 0.000
```

Values from the calculation:
ΔE_f (raw) = -13.2 kJ/mol of atoms
E above lowest polymorph = 480.8 meV/atom
M_tot = 0.2 μB/cell
Crystal system = orthorhombic